**File:**
____________
Entry from the Alexandria database: a geometry-optimized Sc2SiTc structure (PBE).

a = 3.2526 Å, b = 3.2526 Å, c = 6.8553 Å
α = 90.00°, β = 90.00°, γ = 90.00°
With the nearest neighbours (Å) after each atom.
Space group P4mm (No. 99)
Symmetry-distinct sites (fractional):
Sc 0.0000 0.0000 0.0000 (multiplicity 1)  1 Si 2.82, 4 Tc 2.91
Sc 0.5000 0.5000 0.3369 (multiplicity 1)  1 Tc 2.77, 4 Si 2.88
Si 0.0000 0.0000 0.5889 (multiplicity 1)  4 Tc 2.53, 1 Sc 2.82
Tc 0.5000 0.5000 0.7410 (multiplicity 1)  4 Si 2.53, 1 Sc 2.77



Entry from the Alexandria database: a geometry-optimized ScSi4Tc structure (PBE).

a = 6.9915 Å, b = 6.9915 Å, c = 6.9915 Å
α = 90.00°, β = 90.00°, γ = 90.00°
With the nearest neighbours (Å) after each atom.
Space group F-43m (No. 216)
Symmetry-distinct sites (fractional):
Sc 0.0000 0.0000 0.0000 (multiplicity 4)  12 Si 2.90, 4 Tc 3.03
Si 0.1250 0.1250 0.6250 (multiplicity 16)  6 Si 2.47
Tc 0.2500 0.2500 0.2500 (multiplicity 4)  12 Si 2.90, 4 Sc 3.03



Entry from the Alexandria database: a geometry-optimized ScSiTc2 structure (PBE).

a = 3.9570 Å, b = 3.9570 Å, c = 18.2066 Å
α = 90.00°, β = 90.00°, γ = 90.00°
With the nearest neighbours (Å) after each atom.
Space group I-42d (No. 122)
Symmetry-distinct sites (fractional):
Sc 0.0000 0.0000 0.0000 (multiplicity 4)  4 Si 2.80, 4 Tc 2.81
Si 0.0000 0.0000 0.5000 (multiplicity 4)  4 Tc 2.57, 4 Sc 2.80
Tc 0.1672 0.2500 0.6250 (multiplicity 8)  2 Tc 2.38, 2 Si 2.57
____________
**Request:**
Set down the lines earlier on up to the one that holds "0.7410 (multiplicity", that line included, please.
**Completed:**
Entry from the Alexandria database: a geometry-optimized Sc2SiTc structure (PBE).

a = 3.2526 Å, b = 3.2526 Å, c = 6.8553 Å
α = 90.00°, β = 90.00°, γ = 90.00°
With the nearest neighbours (Å) after each atom.
Space group P4mm (No. 99)
Symmetry-distinct sites (fractional):
Sc 0.0000 0.0000 0.0000 (multiplicity 1)  1 Si 2.82, 4 Tc 2.91
Sc 0.5000 0.5000 0.3369 (multiplicity 1)  1 Tc 2.77, 4 Si 2.88
Si 0.0000 0.0000 0.5889 (multiplicity 1)  4 Tc 2.53, 1 Sc 2.82
Tc 0.5000 0.5000 0.7410 (multiplicity 1)  4 Si 2.53, 1 Sc 2.77